_Data_
********
VASP calculation (meta-GGA r2SCAN) on a geometry-optimized Na2AgSb structure.

Unit cell a=9.218 b=7.872 c=5.763 alpha=90.00 beta=90.00 gamma=90.00
Space group Cmcm (No. 63)
One atom of each set of equivalent atoms:
Na 0.178 0.150 0.250 (multiplicity 8)
Ag 0.000 0.500 0.000 (multiplicity 4)
Sb 0.000 0.209 0.750 (multiplicity 4)

## Properties
raw total energy = -13.995 eV/atom

VASP calculation (meta-GGA r2SCAN) on a geometry-optimized Nb13AgO33 structure.

Unit cell a=22.670 b=3.848 c=15.607 alpha=90.00 beta=91.91 gamma=90.00
Space group C2/m (No. 12)
One atom of each set of equivalent atoms:
Nb 0.000 0.000 0.000 (multiplicity 2)
Nb 0.070 0.000 0.229 (multiplicity 4)
Nb 0.086 0.000 0.675 (multiplicity 4)
Nb 0.136 0.000 0.468 (multiplicity 4)
Nb 0.155 0.000 0.904 (multiplicity 4)
Nb 0.208 0.500 0.625 (multiplicity 4)
Nb 0.225 0.000 0.137 (multiplicity 4)
Ag 0.000 0.500 0.500 (multiplicity 2)
O 0.000 0.500 0.000 (multiplicity 2)
O 0.011 0.000 0.709 (multiplicity 4)
O 0.035 0.000 0.120 (multiplicity 4)
O 0.066 0.000 0.543 (multiplicity 4)
O 0.071 0.500 0.247 (multiplicity 4)
O 0.082 0.000 0.951 (multiplicity 4)
O 0.100 0.000 0.365 (multiplicity 4)
O 0.109 0.500 0.662 (multiplicity 4)
O 0.128 0.000 0.786 (multiplicity 4)
O 0.152 0.500 0.497 (multiplicity 4)
O 0.154 0.000 0.195 (multiplicity 4)
O 0.180 0.500 0.900 (multiplicity 4)
O 0.181 0.000 0.611 (multiplicity 4)
O 0.195 0.000 0.026 (multiplicity 4)
O 0.222 0.000 0.431 (multiplicity 4)
O 0.233 0.500 0.736 (multiplicity 4)
O 0.250 0.000 0.862 (multiplicity 4)

## Properties
raw total energy = -14.143 eV/atom

VASP calculation (meta-GGA r2SCAN) on a geometry-optimized Nb2AgS4 structure.

Unit cell a=3.3976 b=3.3976 c=13.6060 alpha=90.00 beta=90.00 gamma=120.00
Space group P3m1 (No. 156)
One atom of each set of equivalent atoms:
Nb 0.0000 0.0000 0.0000 (multiplicity 1)
Nb 0.3333 0.6667 0.5420 (multiplicity 1)
Ag 0.3333 0.6667 0.2912 (multiplicity 1)
S 0.0000 0.0000 0.4259 (multiplicity 1)
S 0.0000 0.0000 0.6527 (multiplicity 1)
S 0.3333 0.6667 0.1144 (multiplicity 1)
S 0.3333 0.6667 0.8892 (multiplicity 1)

## Properties
raw total energy = -15.712 eV/atom

VASP calculation (meta-GGA r2SCAN) on a geometry-optimized Nb4AgS8 structure.

Unit cell a=3.3840 b=3.3840 c=81.5847 alpha=90.00 beta=90.00 gamma=120.00
Space group R3m (No. 160, hexagonal axes)
One atom of each set of equivalent atoms:
Nb 0.0000 0.0000 0.0000 (multiplicity 3)
Nb 0.0000 0.0000 0.0755 (multiplicity 3)
Nb 0.0000 0.0000 0.4995 (multiplicity 3)
Nb 0.0000 0.0000 0.5751 (multiplicity 3)
Ag 0.0000 0.0000 0.4575 (multiplicity 3)
S 0.0000 0.0000 0.1467 (multiplicity 3)
S 0.0000 0.0000 0.1847 (multiplicity 3)
S 0.0000 0.0000 0.3904 (multiplicity 3)
S 0.0000 0.0000 0.4280 (multiplicity 3)
S 0.0000 0.0000 0.6475 (multiplicity 3)
S 0.0000 0.0000 0.6858 (multiplicity 3)
S 0.0000 0.0000 0.8893 (multiplicity 3)
S 0.0000 0.0000 0.9275 (multiplicity 3)

## Properties
raw total energy = -15.270 eV/atom

VASP calculation (meta-GGA r2SCAN) on a geometry-optimized NdAg3 structure.

Unit cell a=6.5273 b=6.5273 c=4.7961 alpha=90.00 beta=90.00 gamma=120.00
Space group P6_3/mmc (No. 194)
One atom of each set of equivalent atoms:
Nd 0.3333 0.6667 0.2500 (multiplicity 2)
Ag 0.1483 0.2966 0.7500 (multiplicity 6)

## Properties
raw total energy = -23.567 eV/atom

VASP calculation (meta-GGA r2SCAN) on a geometry-optimized NdAg structure.

Unit cell a=3.734 b=3.734 c=3.734 alpha=90.00 beta=90.00 gamma=90.00
Space group Pm-3m (No. 221)
One atom of each set of equivalent atoms:
Nd 0.000 0.000 0.000 (multiplicity 1)
Ag 0.500 0.500 0.500 (multiplicity 1)

## Properties
raw total energy = -25.666 eV/atom

VASP calculation (meta-GGA r2SCAN) on a geometry-optimized Nd3SiAgS7 structure.

Unit cell a=10.3216 b=10.3216 c=5.7584 alpha=90.00 beta=90.00 gamma=120.00
Space group P6_3 (No. 173)
One atom of each set of equivalent atoms:
Nd 0.1226 0.3597 0.0000 (multiplicity 6)
Si 0.3333 0.6667 0.4104 (multiplicity 2)
Ag 0.0000 0.0000 0.0423 (multiplicity 2)
********
_Work order_
Next, echo everything further above unchanged.
_Result_
VASP calculation (meta-GGA r2SCAN) on a geometry-optimized Na2AgSb structure.

Unit cell a=9.218 b=7.872 c=5.763 alpha=90.00 beta=90.00 gamma=90.00
Space group Cmcm (No. 63)
One atom of each set of equivalent atoms:
Na 0.178 0.150 0.250 (multiplicity 8)
Ag 0.000 0.500 0.000 (multiplicity 4)
Sb 0.000 0.209 0.750 (multiplicity 4)

## Properties
raw total energy = -13.995 eV/atom

VASP calculation (meta-GGA r2SCAN) on a geometry-optimized Nb13AgO33 structure.

Unit cell a=22.670 b=3.848 c=15.607 alpha=90.00 beta=91.91 gamma=90.00
Space group C2/m (No. 12)
One atom of each set of equivalent atoms:
Nb 0.000 0.000 0.000 (multiplicity 2)
Nb 0.070 0.000 0.229 (multiplicity 4)
Nb 0.086 0.000 0.675 (multiplicity 4)
Nb 0.136 0.000 0.468 (multiplicity 4)
Nb 0.155 0.000 0.904 (multiplicity 4)
Nb 0.208 0.500 0.625 (multiplicity 4)
Nb 0.225 0.000 0.137 (multiplicity 4)
Ag 0.000 0.500 0.500 (multiplicity 2)
O 0.000 0.500 0.000 (multiplicity 2)
O 0.011 0.000 0.709 (multiplicity 4)
O 0.035 0.000 0.120 (multiplicity 4)
O 0.066 0.000 0.543 (multiplicity 4)
O 0.071 0.500 0.247 (multiplicity 4)
O 0.082 0.000 0.951 (multiplicity 4)
O 0.100 0.000 0.365 (multiplicity 4)
O 0.109 0.500 0.662 (multiplicity 4)
O 0.128 0.000 0.786 (multiplicity 4)
O 0.152 0.500 0.497 (multiplicity 4)
O 0.154 0.000 0.195 (multiplicity 4)
O 0.180 0.500 0.900 (multiplicity 4)
O 0.181 0.000 0.611 (multiplicity 4)
O 0.195 0.000 0.026 (multiplicity 4)
O 0.222 0.000 0.431 (multiplicity 4)
O 0.233 0.500 0.736 (multiplicity 4)
O 0.250 0.000 0.862 (multiplicity 4)

## Properties
raw total energy = -14.143 eV/atom

VASP calculation (meta-GGA r2SCAN) on a geometry-optimized Nb2AgS4 structure.

Unit cell a=3.3976 b=3.3976 c=13.6060 alpha=90.00 beta=90.00 gamma=120.00
Space group P3m1 (No. 156)
One atom of each set of equivalent atoms:
Nb 0.0000 0.0000 0.0000 (multiplicity 1)
Nb 0.3333 0.6667 0.5420 (multiplicity 1)
Ag 0.3333 0.6667 0.2912 (multiplicity 1)
S 0.0000 0.0000 0.4259 (multiplicity 1)
S 0.0000 0.0000 0.6527 (multiplicity 1)
S 0.3333 0.6667 0.1144 (multiplicity 1)
S 0.3333 0.6667 0.8892 (multiplicity 1)

## Properties
raw total energy = -15.712 eV/atom

VASP calculation (meta-GGA r2SCAN) on a geometry-optimized Nb4AgS8 structure.

Unit cell a=3.3840 b=3.3840 c=81.5847 alpha=90.00 beta=90.00 gamma=120.00
Space group R3m (No. 160, hexagonal axes)
One atom of each set of equivalent atoms:
Nb 0.0000 0.0000 0.0000 (multiplicity 3)
Nb 0.0000 0.0000 0.0755 (multiplicity 3)
Nb 0.0000 0.0000 0.4995 (multiplicity 3)
Nb 0.0000 0.0000 0.5751 (multiplicity 3)
Ag 0.0000 0.0000 0.4575 (multiplicity 3)
S 0.0000 0.0000 0.1467 (multiplicity 3)
S 0.0000 0.0000 0.1847 (multiplicity 3)
S 0.0000 0.0000 0.3904 (multiplicity 3)
S 0.0000 0.0000 0.4280 (multiplicity 3)
S 0.0000 0.0000 0.6475 (multiplicity 3)
S 0.0000 0.0000 0.6858 (multiplicity 3)
S 0.0000 0.0000 0.8893 (multiplicity 3)
S 0.0000 0.0000 0.9275 (multiplicity 3)

## Properties
raw total energy = -15.270 eV/atom

VASP calculation (meta-GGA r2SCAN) on a geometry-optimized NdAg3 structure.

Unit cell a=6.5273 b=6.5273 c=4.7961 alpha=90.00 beta=90.00 gamma=120.00
Space group P6_3/mmc (No. 194)
One atom of each set of equivalent atoms:
Nd 0.3333 0.6667 0.2500 (multiplicity 2)
Ag 0.1483 0.2966 0.7500 (multiplicity 6)

## Properties
raw total energy = -23.567 eV/atom

VASP calculation (meta-GGA r2SCAN) on a geometry-optimized NdAg structure.

Unit cell a=3.734 b=3.734 c=3.734 alpha=90.00 beta=90.00 gamma=90.00
Space group Pm-3m (No. 221)
One atom of each set of equivalent atoms:
Nd 0.000 0.000 0.000 (multiplicity 1)
Ag 0.500 0.500 0.500 (multiplicity 1)

## Properties
raw total energy = -25.666 eV/atom

VASP calculation (meta-GGA r2SCAN) on a geometry-optimized Nd3SiAgS7 structure.

Unit cell a=10.3216 b=10.3216 c=5.7584 alpha=90.00 beta=90.00 gamma=120.00
Space group P6_3 (No. 173)
One atom of each set of equivalent atoms:
Nd 0.1226 0.3597 0.0000 (multiplicity 6)
Si 0.3333 0.6667 0.4104 (multiplicity 2)
Ag 0.0000 0.0000 0.0423 (multiplicity 2)